# Brief
Your job: transcribe all of the data further below unchanged.

# Data
+++
1.
Below is an isolated molecule of C2H3FS2 at a distorted geometry, with properties calculated with the ωB97M-V functional and the def2-TZVPD basis.

The geometry in ORCA input format:
```
! RIJCOSX wB97M-V def2-TZVPD def2/J DEFGRID3
* xyz 0 1
F 0.2203 -0.5644 -1.6706
C 0.7125 0.3208 -0.7044
C -0.1309 0.1327 0.4759
S -0.3088 1.3351 1.5653
S -1.0207 -1.4466 0.5367
H 0.7468 1.2580 -1.1583
H 1.6782 -0.0300 -0.3638
H -1.8975 -1.0055 1.3192
*
```

Its SMILES is FCC(=S)S. The energy relative to the best compared isomer or geometry (same formula, charge and spin) is 41.5 kJ/mol. Its HOMO energy is -9.093 eV.


2.
Below is a structure of composition C29H35BCeN4O6 at a distorted geometry, with properties calculated with the ωB97M-V functional and the def2-TZVPD basis.

The geometry in ORCA input format:
```
! RIJCOSX wB97M-V def2-TZVPD def2/J DEFGRID3
* xyz 0 1
Ce 0.9676 -0.0812 -0.6383
O -3.7614 3.0179 0.4341
C -2.8017 3.9570 0.2976
C -3.2028 5.2934 0.2364
C -2.2656 6.2977 0.0923
C -0.9116 5.9918 0.0053
C -0.5131 4.6706 0.0602
C -1.4372 3.6355 0.2046
C -0.9680 2.2339 0.1787
O 0.2959 2.0080 -0.0784
N -1.8278 1.2559 0.3304
N -1.2498 0.0299 0.0794
C -1.9529 -1.0385 0.5129
C -1.5002 -2.3126 0.2945
C -1.9763 -3.4651 1.0133
C -1.1669 -4.5318 1.2072
C 0.1600 -4.5080 0.6308
C 0.5001 -3.5550 -0.2413
N -0.3582 -2.4742 -0.5827
H -3.2951 2.1328 0.4870
H -4.2593 5.5103 0.3091
H -2.5941 7.3291 0.0464
H -0.1784 6.7787 -0.1084
H 0.5302 4.4049 -0.0203
H -2.8541 -0.8600 1.0981
H -2.9600 -3.4096 1.4609
H -1.4840 -5.3830 1.7922
H 0.8810 -5.2731 0.8790
H 1.4669 -3.5376 -0.7363
O 2.7680 1.1417 -4.2654
C 1.8942 0.8009 -3.4894
O 2.0104 -0.1462 -2.5891
C 0.5416 1.5038 -3.4698
C 0.3568 2.6852 -4.1774
C -0.8929 3.2835 -4.1322
C -1.9053 2.6674 -3.4169
C -1.6219 1.4918 -2.7357
N -0.4141 0.9334 -2.7415
H 1.1839 3.0961 -4.7358
H -1.0770 4.2140 -4.6507
H -2.8966 3.0925 -3.3636
H -2.3755 0.9884 -2.1424
C 4.7697 0.0831 3.2010
C 3.2626 0.2786 3.1204
C 2.8415 1.5646 3.8021
O 2.9424 0.4095 1.6807
B 2.4667 -0.8076 1.2829
O 2.3113 -1.7321 2.2769
C 2.4424 -0.9853 3.5414
C 3.1372 -1.8780 4.5568
C 1.0185 -0.6664 3.9766
H 5.2608 0.9283 2.7218
H 5.0833 -0.8262 2.6923
H 5.1050 0.0338 4.2378
H 3.4677 2.3854 3.4567
H 2.9667 1.4771 4.8831
H 1.8060 1.8147 3.5916
H 4.0924 -2.2384 4.1864
H 2.5071 -2.7382 4.7748
H 3.3062 -1.3388 5.4906
H 0.5017 -0.0479 3.2428
H 1.0027 -0.1449 4.9339
H 0.4655 -1.5981 4.0797
C -1.5253 -4.7468 -2.5094
C -1.7828 -3.2516 -2.6291
C -1.9414 -2.8586 -4.0934
C -0.6666 -2.3819 -2.0320
H -2.2781 -5.3031 -3.0712
H -1.5563 -5.0870 -1.4823
H -0.5507 -5.0037 -2.9261
H -2.7163 -3.0017 -2.1089
H -1.0559 -3.1396 -4.6646
H -2.0866 -1.7862 -4.2090
H -2.7984 -3.3643 -4.5386
H -0.9300 -1.3346 -2.2386
H 0.2762 -2.5840 -2.5616
*
```

The energy relative to the best compared isomer or geometry (same formula, charge and spin) is 0.0 kJ/mol. Its HOMO energy (spin up / spin down) is -6.485 / -6.487 eV.


3.
Below is a structure of composition C42H59Cl3N6OPSV at a distorted geometry, with properties calculated with the ωB97M-V functional and the def2-TZVPD basis.

The geometry in ORCA input format:
```
! RIJCOSX wB97M-V def2-TZVPD def2/J DEFGRID3
* xyz 1 2
V 0.1056 0.1852 0.8719
C 2.9493 -0.7572 2.0182
C 2.6498 0.3116 3.0522
N 1.1930 0.3789 3.2541
C 0.6634 1.6474 3.7396
C 0.8323 2.6654 2.6497
C 1.2014 3.9683 2.9004
C 1.3810 4.8487 1.8435
C 1.1816 4.3805 0.5558
C 0.7922 3.0679 0.3704
C 0.4627 2.5256 -0.9932
N 0.6898 1.0516 -1.0544
C 2.1064 0.6597 -1.3804
C 2.9395 0.4928 -0.1304
N 2.2344 -0.4701 0.7511
N 0.6173 2.1970 1.3979
H 2.5832 -1.7139 2.3901
H 4.0230 -0.8458 1.8528
H 3.0035 1.2874 2.7134
H 3.1980 0.0710 3.9617
H 0.8458 -0.4124 3.7807
H 1.1235 2.0242 4.6513
H -0.4031 1.4994 3.9377
H 1.3574 4.2821 3.9295
H 1.6897 5.8770 2.0224
H 1.3152 5.0269 -0.3099
H 1.0341 3.0533 -1.7485
H -0.5942 2.7101 -1.1848
H 0.1116 0.6599 -1.8050
H 2.5622 1.3908 -2.0413
H 2.0569 -0.2868 -1.9164
H 3.0421 1.4399 0.3908
H 3.9392 0.1500 -0.3906
H 2.1767 -1.3454 0.2376
Cl 0.6220 -7.0239 0.6768
+++

# Done
1.
Below is an isolated molecule of C2H3FS2 at a distorted geometry, with properties calculated with the ωB97M-V functional and the def2-TZVPD basis.

The geometry in ORCA input format:
```
! RIJCOSX wB97M-V def2-TZVPD def2/J DEFGRID3
* xyz 0 1
F 0.2203 -0.5644 -1.6706
C 0.7125 0.3208 -0.7044
C -0.1309 0.1327 0.4759
S -0.3088 1.3351 1.5653
S -1.0207 -1.4466 0.5367
H 0.7468 1.2580 -1.1583
H 1.6782 -0.0300 -0.3638
H -1.8975 -1.0055 1.3192
*
```

Its SMILES is FCC(=S)S. The energy relative to the best compared isomer or geometry (same formula, charge and spin) is 41.5 kJ/mol. Its HOMO energy is -9.093 eV.


2.
Below is a structure of composition C29H35BCeN4O6 at a distorted geometry, with properties calculated with the ωB97M-V functional and the def2-TZVPD basis.

The geometry in ORCA input format:
```
! RIJCOSX wB97M-V def2-TZVPD def2/J DEFGRID3
* xyz 0 1
Ce 0.9676 -0.0812 -0.6383
O -3.7614 3.0179 0.4341
C -2.8017 3.9570 0.2976
C -3.2028 5.2934 0.2364
C -2.2656 6.2977 0.0923
C -0.9116 5.9918 0.0053
C -0.5131 4.6706 0.0602
C -1.4372 3.6355 0.2046
C -0.9680 2.2339 0.1787
O 0.2959 2.0080 -0.0784
N -1.8278 1.2559 0.3304
N -1.2498 0.0299 0.0794
C -1.9529 -1.0385 0.5129
C -1.5002 -2.3126 0.2945
C -1.9763 -3.4651 1.0133
C -1.1669 -4.5318 1.2072
C 0.1600 -4.5080 0.6308
C 0.5001 -3.5550 -0.2413
N -0.3582 -2.4742 -0.5827
H -3.2951 2.1328 0.4870
H -4.2593 5.5103 0.3091
H -2.5941 7.3291 0.0464
H -0.1784 6.7787 -0.1084
H 0.5302 4.4049 -0.0203
H -2.8541 -0.8600 1.0981
H -2.9600 -3.4096 1.4609
H -1.4840 -5.3830 1.7922
H 0.8810 -5.2731 0.8790
H 1.4669 -3.5376 -0.7363
O 2.7680 1.1417 -4.2654
C 1.8942 0.8009 -3.4894
O 2.0104 -0.1462 -2.5891
C 0.5416 1.5038 -3.4698
C 0.3568 2.6852 -4.1774
C -0.8929 3.2835 -4.1322
C -1.9053 2.6674 -3.4169
C -1.6219 1.4918 -2.7357
N -0.4141 0.9334 -2.7415
H 1.1839 3.0961 -4.7358
H -1.0770 4.2140 -4.6507
H -2.8966 3.0925 -3.3636
H -2.3755 0.9884 -2.1424
C 4.7697 0.0831 3.2010
C 3.2626 0.2786 3.1204
C 2.8415 1.5646 3.8021
O 2.9424 0.4095 1.6807
B 2.4667 -0.8076 1.2829
O 2.3113 -1.7321 2.2769
C 2.4424 -0.9853 3.5414
C 3.1372 -1.8780 4.5568
C 1.0185 -0.6664 3.9766
H 5.2608 0.9283 2.7218
H 5.0833 -0.8262 2.6923
H 5.1050 0.0338 4.2378
H 3.4677 2.3854 3.4567
H 2.9667 1.4771 4.8831
H 1.8060 1.8147 3.5916
H 4.0924 -2.2384 4.1864
H 2.5071 -2.7382 4.7748
H 3.3062 -1.3388 5.4906
H 0.5017 -0.0479 3.2428
H 1.0027 -0.1449 4.9339
H 0.4655 -1.5981 4.0797
C -1.5253 -4.7468 -2.5094
C -1.7828 -3.2516 -2.6291
C -1.9414 -2.8586 -4.0934
C -0.6666 -2.3819 -2.0320
H -2.2781 -5.3031 -3.0712
H -1.5563 -5.0870 -1.4823
H -0.5507 -5.0037 -2.9261
H -2.7163 -3.0017 -2.1089
H -1.0559 -3.1396 -4.6646
H -2.0866 -1.7862 -4.2090
H -2.7984 -3.3643 -4.5386
H -0.9300 -1.3346 -2.2386
H 0.2762 -2.5840 -2.5616
*
```

The energy relative to the best compared isomer or geometry (same formula, charge and spin) is 0.0 kJ/mol. Its HOMO energy (spin up / spin down) is -6.485 / -6.487 eV.


3.
Below is a structure of composition C42H59Cl3N6OPSV at a distorted geometry, with properties calculated with the ωB97M-V functional and the def2-TZVPD basis.

The geometry in ORCA input format:
```
! RIJCOSX wB97M-V def2-TZVPD def2/J DEFGRID3
* xyz 1 2
V 0.1056 0.1852 0.8719
C 2.9493 -0.7572 2.0182
C 2.6498 0.3116 3.0522
N 1.1930 0.3789 3.2541
C 0.6634 1.6474 3.7396
C 0.8323 2.6654 2.6497
C 1.2014 3.9683 2.9004
C 1.3810 4.8487 1.8435
C 1.1816 4.3805 0.5558
C 0.7922 3.0679 0.3704
C 0.4627 2.5256 -0.9932
N 0.6898 1.0516 -1.0544
C 2.1064 0.6597 -1.3804
C 2.9395 0.4928 -0.1304
N 2.2344 -0.4701 0.7511
N 0.6173 2.1970 1.3979
H 2.5832 -1.7139 2.3901
H 4.0230 -0.8458 1.8528
H 3.0035 1.2874 2.7134
H 3.1980 0.0710 3.9617
H 0.8458 -0.4124 3.7807
H 1.1235 2.0242 4.6513
H -0.4031 1.4994 3.9377
H 1.3574 4.2821 3.9295
H 1.6897 5.8770 2.0224
H 1.3152 5.0269 -0.3099
H 1.0341 3.0533 -1.7485
H -0.5942 2.7101 -1.1848
H 0.1116 0.6599 -1.8050
H 2.5622 1.3908 -2.0413
H 2.0569 -0.2868 -1.9164
H 3.0421 1.4399 0.3908
H 3.9392 0.1500 -0.3906
H 2.1767 -1.3454 0.2376
Cl 0.6220 -7.0239 0.6768